No. 178.

Mr. Becerra to Mr. Bayard.


Sir: I had the honor to receive the very polite note of your Department yesterday afternoon, and therewith copy of the documents in reference to the prompt and efficient action of the respective American authorities, upon the request of this legation, to prevent the shipment [Page 235] of arms and munitions and the fitting out of vessels destined for the part of the Colombian territory now the theater of an armed insurrection against the lawfully constituted Government of that Republic, which is the friend of the United States. I return thanks to the honorable Secretary for the diligent action which has followed my representations, and I hasten to amplify, with the speed which the case requires, the details which the attorney of the district of New York needs with reference to the shipment of arms and munitions on board of the Albano, bound for Sabanilla, and for the insurgents who have actual possession of that port.

Unrelated to this text: crystal structures.
____________
Version P
# CoPb2Cl6 | the Alexandria database | PBE | relaxed
data_CoPb2Cl6
_chemical_formula_sum 'Co2 Pb4 Cl12'
_symmetry_space_group_name_H-M 'P 1'
_symmetry_Int_Tables_number 1
_symmetry_space_group_name_Hall 'P 1'
_cell_length_a 6.463
_cell_length_b 6.463
_cell_length_c 12.478
_cell_angle_alpha 90.00
_cell_angle_beta 90.00
_cell_angle_gamma 90.00
loop_
_atom_site_label
_atom_site_type_symbol
_atom_site_fract_x
_atom_site_fract_y
_atom_site_fract_z
_atom_site_occupancy
Co1 Co 0.000 0.000 0.000 1
Co2 Co 0.500 0.500 0.500 1
Pb1 Pb 0.000 0.000 0.334 1
Pb2 Pb 0.000 0.000 0.666 1
Pb3 Pb 0.500 0.500 0.166 1
Pb4 Pb 0.500 0.500 0.834 1
Cl1 Cl 0.182 0.182 0.146 1
Cl2 Cl 0.182 0.182 0.854 1
Cl3 Cl 0.231 0.231 0.500 1
Cl4 Cl 0.269 0.731 0.000 1
Cl5 Cl 0.318 0.682 0.354 1
Cl6 Cl 0.318 0.682 0.646 1
Cl7 Cl 0.682 0.318 0.354 1
Cl8 Cl 0.682 0.318 0.646 1
Cl9 Cl 0.731 0.269 0.000 1
Cl10 Cl 0.769 0.769 0.500 1
Cl11 Cl 0.818 0.818 0.146 1
Cl12 Cl 0.818 0.818 0.854 1
# spin magnetization	3.00	μB per formula unit
# crystal system	tetragonal

Version Q
# CoPb2Cl6 | the Alexandria database | PBE | relaxed
data_CoPb2Cl6
_chemical_formula_sum 'Co1 Pb2 Cl6'
_symmetry_space_group_name_H-M 'P 1'
_symmetry_Int_Tables_number 1
_symmetry_space_group_name_Hall 'P 1'
_cell_length_a 7.074
_cell_length_b 7.074
_cell_length_c 11.391
_cell_angle_alpha 115.70
_cell_angle_beta 115.70
_cell_angle_gamma 33.96
loop_
_atom_site_label
_atom_site_type_symbol
_atom_site_fract_x
_atom_site_fract_y
_atom_site_fract_z
_atom_site_occupancy
Co1 Co 0.000 0.000 0.000 1
Pb1 Pb 0.307 0.307 0.694 1
Pb2 Pb 0.693 0.693 0.306 1
Cl1 Cl 0.010 0.010 0.212 1
Cl2 Cl 0.188 0.188 0.097 1
Cl3 Cl 0.347 0.347 0.466 1
Cl4 Cl 0.653 0.653 0.534 1
Cl5 Cl 0.812 0.812 0.903 1
Cl6 Cl 0.990 0.990 0.788 1
# spin magnetization	3.03	μB per formula unit
# crystal system	monoclinic

Most stable of them? version P.

Version P
# CoPbCl4 | the Alexandria database | PBE | relaxed
data_CoPbCl4
_chemical_formula_sum 'Co2 Pb2 Cl8'
_symmetry_space_group_name_H-M 'P 1'
_symmetry_Int_Tables_number 1
_symmetry_space_group_name_Hall 'P 1'
_cell_length_a 7.727
_cell_length_b 7.727
_cell_length_c 7.727
_cell_angle_alpha 106.10
_cell_angle_beta 106.10
_cell_angle_gamma 116.45
loop_
_atom_site_label
_atom_site_type_symbol
_atom_site_fract_x
_atom_site_fract_y
_atom_site_fract_z
_atom_site_occupancy
Co1 Co 0.375 0.625 0.750 1
Co2 Co 0.625 0.375 0.250 1
Pb1 Pb 0.125 0.875 0.250 1
Pb2 Pb 0.875 0.125 0.750 1
Cl1 Cl 0.191 0.260 0.569 1
Cl2 Cl 0.191 0.622 0.931 1
Cl3 Cl 0.260 0.191 0.069 1
Cl4 Cl 0.378 0.809 0.569 1
Cl5 Cl 0.622 0.191 0.431 1
Cl6 Cl 0.740 0.809 0.931 1
Cl7 Cl 0.809 0.378 0.069 1
Cl8 Cl 0.809 0.740 0.431 1
# spin magnetization	3.00	μB per formula unit
# crystal system	tetragonal

Version Q
# CoPbCl4 | the Alexandria database | PBE | relaxed
data_CoPbCl4
_chemical_formula_sum 'Co1 Pb1 Cl4'
_symmetry_space_group_name_H-M 'P 1'
_symmetry_Int_Tables_number 1
_symmetry_space_group_name_Hall 'P 1'
_cell_length_a 5.930
____________

The Albano belongs to the line of English steamers of the British Atlas Company, which has resident officers in the cities of New York and Liverpool, which steamers are engaged in regular trade between the former port and those of the Atlantic coast of Colombia. The company has contracts with the Colombian Government whereby in some respects their service of transportation is favored, and therefore, they are subject to greater and stricter duties of neutrality in the domestic contentions of that country.
Notwithstanding this, the company has received on board the Albano a large quantity of arms and munitions purchased in New York by Señor Benjamin Gaitan, the known agent of the insurgents, with funds taken by force from the custom-house at Barranquilla, or as a forced loan from the peaceable commercial element of that city, whose residents are in great part foreigners. And, moreover, it has agreed to transport the arms and munitions and the purchaser thereof, the agent of the rebels, to a port which the competent authorities of Colombia have closed to foreign commerce in virtue of the decree competently issued and communicated to the foreign consuls resident there.
Further, in conformity to the legislation of Colombia, all operations of commercial importation are based upon the previous intervention of the consul of Colombia at the port of the vessel’s departure; yet, notwithstanding this, the Albano has been cleared for Sabanilla without that essential requirement being complied with, thus withdrawing herself from the lawful jurisdiction of Colombia, and putting herself under that of the rebels, whose interest is from that moment to attract to themselves the greatest possible number of warlike elements in order to prosecute their work.
The arms and munitions embarked on the Albano are evidently intended for the insurgents who are now the masters of the port of Sabanilla, and their carriage thither, if unfortunately it be accomplished, will be such efficient aid that without it the cause they espouse would be lost. The reason of this is that they almost wholly lack munitions suitable for the arms that they have succeeded in capturing, while in the national arsenals there is an abundance of such munitions. This explains why, as I have been informed, the company owning the Albano has charged the shippers of the arms extraordinary freight money.
The United States, as guarantors of the neutrality of the transit by way of the Isthmus of Panama, according to the treaty of 1846, are naturally interested in preserving order there and in warding off or suppressing whatever efforts or elements may tend to a contrary result. Now, then, it is a fact which admits of no doubt, that a large part of the arms put on board the steamer Albano are intended for the insurgents who are preparing to invade the State of Panama. The American Government, in fact, knows that a band of those same insurgents by surprise and force seized in the port of Colon (Aspinwall) a steam-tug which is the property q£ the railway company, and it is aware that [Page 236] the captors have taken the tug to Sabanilla, in search of the means of carrying the war into the Isthmus. Your Government has already given directions for the recovery of that property, thus supplementing, at the instance of this legation, the want of means on the part of the lawful authorities of the State of Panama to do the same thing. If, then, the embarkation and dispatch to the rebels of the armament purchased in New York were tolerated by the American authorities, the result would be that these latter themselves would furnish means in opposition to the fulfillment of the obligation assumed by the United States to guarantee the neutrality of the interoceanic transit by the way of Panama, to the injury of such transit, or at least its paralyzation in the event of the rebels carrying the war into that territory, as it is at present their very clear intention to do.

I venture to hope that the facts and considerations here set forth will carry to the mind of the proper American authorities the conviction that the case now presented is one of the clearest and most urgent character in so far as it concerns the neutral duties of this nation, and that it is likewise a very appropriate one for demonstrating the high policy of moral protection in the interest of peace in South and Central America, which the present administration doubtless holds.

I am, &c.,